(Work order)
What is needed: start at the top of the entries further below and retype each line, ending with the one that has "0.067 0.500".
(Data)
........
# 1
The following is a DFT calculation (PBE) of an optimized crystal structure of TlH3S.

abc: 4.094 7.969 7.441
angles: 90.00 90.00 90.00
Atoms (fractional coordinates):
Tl1 0.000 0.180 0.000
Tl2 0.000 0.820 0.500
H1 0.500 0.147 0.618
H2 0.500 0.368 0.351
H3 0.500 0.452 0.395
H4 0.500 0.548 0.895
H5 0.500 0.632 0.851
H6 0.500 0.853 0.118
S1 0.500 0.022 0.740
S2 0.500 0.978 0.240

ΔE to the lowest computed polymorph = 0.00 kJ/mol of atoms
Spin magnetization = 0.000 μB per cell
Raw total energy = -34.79 eV per cell

=====

# 2
The following is a DFT calculation (PBE) of an optimized crystal structure of Rb2HfCoI6.

abc: 8.114 8.114 8.114
angles: 60.00 60.00 60.00
Atoms (fractional coordinates):
Rb1 0.250 0.250 0.250
Rb2 0.750 0.750 0.750
Hf1 0.000 0.000 0.000
Co1 0.500 0.500 0.500
I1 0.253 0.253 0.747
I2 0.253 0.747 0.253
I3 0.253 0.747 0.747
I4 0.747 0.253 0.253
I5 0.747 0.253 0.747
I6 0.747 0.747 0.253

E_form (uncorrected) = -680 kJ/mol of formula units
Spin magnetization = 1.601 μB per cell
Raw total energy = -35.34 eV per cell

=====

# 3
The following is a DFT calculation (PBE) of an optimized crystal structure of SnAs2Pd7.

abc: 7.109 7.109 4.378
angles: 90.00 90.00 117.09
Atoms (fractional coordinates):
Sn1 0.000 0.000 0.000
As1 0.305 0.695 0.500
As2 0.695 0.305 0.500
Pd1 0.067 0.303 0.500
Pd2 0.222 0.778 0.000
Pd3 0.303 0.067 0.500
Pd4 0.500 0.500 0.500
Pd5 0.697 0.933 0.500
Pd6 0.778 0.222 0.000
Pd7 0.933 0.697 0.500

ΔE to the lowest computed polymorph = 22.93 kJ/mol of atoms
E_form = -182 meV per atom
Spin magnetization = 0.000 μB per cell
Raw total energy = -51.47 eV per cell

=====

# 4
The following is a DFT calculation (PBE) of an optimized crystal structure of BWSe2Br.

abc: 4.911 4.911 4.427
angles: 90.00 90.00 90.00
Atoms (fractional coordinates):
B1 0.000 0.000 0.000
W1 0.000 0.000 0.500
Se1 0.000 0.500 0.500
Se2 0.500 0.000 0.500
Br1 0.500 0.500 0.000

ΔE to the lowest computed polymorph = 0.00 kJ/mol of atoms
E_form (uncorrected) = 310 kJ/mol of formula units
Spin magnetization = 0.000 μB per cell
Raw total energy = -25.06 eV per cell

=====

# 5
The following is a DFT calculation (PBE) of an optimized crystal structure of Pm4Y3Er3.

abc: 3.791 9.308 9.308
angles: 90.00 90.00 90.00
Atoms (fractional coordinates):
Pm1 0.000 0.000 0.000
Pm2 0.000 0.260 0.260
Pm3 0.000 0.497 0.759
Pm4 0.000 0.759 0.497
Y1 0.000 0.130 0.629
Y2 0.000 0.629 0.130
Y3 0.500 0.798 0.798
Er1 0.500 0.298 0.961
Er2 0.500 0.461 0.461
Er3 0.500 0.961 0.298

E_form = 85 meV per atom
Spin magnetization = 0.000 μB per cell
Raw total energy = -51.23 eV per cell

=====

# 6
The following is a DFT calculation (PBE) of an optimized crystal structure of Na2CuSi.

abc: 4.837 4.837 4.837
angles: 60.00 60.00 60.00
Atoms (fractional coordinates):
Na1 0.250 0.250 0.250
Na2 0.750 0.750 0.750
Cu1 0.000 0.000 0.000
Si1 0.500 0.500 0.500

E_form (uncorrected) = 181 kJ/mol of formula units
Spin magnetization = 0.000 μB per cell
Raw total energy = -10.28 eV per cell

=====

# 7
The following is a DFT calculation (PBE) of an optimized crystal structure of La5HoEr.

abc: 9.390 9.390 9.217
angles: 93.76 93.76 141.07
Atoms (fractional coordinates):
La1 0.019 0.389 0.648
La2 0.137 0.863 0.750
La3 0.239 0.541 0.034
La4 0.389 0.019 0.148
La5 0.459 0.761 0.466
La6 0.541 0.239 0.534
La7 0.611 0.981 0.852
La8 0.761 0.459 0.966
La9 0.863 0.137 0.250
La10 0.981 0.611 0.352
Ho1 0.000 0.000 0.000
Ho2 0.000 0.000 0.500
Er1 0.490 0.510 0.750
Er2 0.510 0.490 0.250

E_form = 170 meV per atom
Spin magnetization = 0.000 μB per cell
Raw total energy = -65.18 eV per cell

=====

# 8
The following is a DFT calculation (PBE) of an optimized crystal structure of Th2SnRh3.

abc: 4.516 4.516 15.174
angles: 90.00 90.00 120.00
Atoms (fractional coordinates):
Th1 0.000 0.000 0.118
Th2 0.000 0.000 0.382
Th3 0.000 0.000 0.618
Th4 0.000 0.000 0.882
Sn1 0.333 0.667 0.250
Sn2 0.667 0.333 0.750
Rh1 0.333 0.667 0.034
Rh2 0.333 0.667 0.466
Rh3 0.333 0.667 0.750
Rh4 0.667 0.333 0.250
........
(Done)
# 1
The following is a DFT calculation (PBE) of an optimized crystal structure of TlH3S.

abc: 4.094 7.969 7.441
angles: 90.00 90.00 90.00
Atoms (fractional coordinates):
Tl1 0.000 0.180 0.000
Tl2 0.000 0.820 0.500
H1 0.500 0.147 0.618
H2 0.500 0.368 0.351
H3 0.500 0.452 0.395
H4 0.500 0.548 0.895
H5 0.500 0.632 0.851
H6 0.500 0.853 0.118
S1 0.500 0.022 0.740
S2 0.500 0.978 0.240

ΔE to the lowest computed polymorph = 0.00 kJ/mol of atoms
Spin magnetization = 0.000 μB per cell
Raw total energy = -34.79 eV per cell

=====

# 2
The following is a DFT calculation (PBE) of an optimized crystal structure of Rb2HfCoI6.

abc: 8.114 8.114 8.114
angles: 60.00 60.00 60.00
Atoms (fractional coordinates):
Rb1 0.250 0.250 0.250
Rb2 0.750 0.750 0.750
Hf1 0.000 0.000 0.000
Co1 0.500 0.500 0.500
I1 0.253 0.253 0.747
I2 0.253 0.747 0.253
I3 0.253 0.747 0.747
I4 0.747 0.253 0.253
I5 0.747 0.253 0.747
I6 0.747 0.747 0.253

E_form (uncorrected) = -680 kJ/mol of formula units
Spin magnetization = 1.601 μB per cell
Raw total energy = -35.34 eV per cell

=====

# 3
The following is a DFT calculation (PBE) of an optimized crystal structure of SnAs2Pd7.

abc: 7.109 7.109 4.378
angles: 90.00 90.00 117.09
Atoms (fractional coordinates):
Sn1 0.000 0.000 0.000
As1 0.305 0.695 0.500
As2 0.695 0.305 0.500
Pd1 0.067 0.303 0.500
Pd2 0.222 0.778 0.000
Pd3 0.303 0.067 0.500